Ladner Carol Ships Support – Dec 2021

The 2021 Ladner Carol Ships was held on Friday, December 10, and Saturday, December 11. Because the Delta Lifeboat is still on the hard, only the Fraser Lifeboat participated.

On Friday the weather forecast was 100% rain and 22 knots winds with gusts to 32 knots. Some carol ships canceled their participation but the Fraser went out there anyway as it was expected that some boats would go out. Together with RCM-SAR, we escorted the carol ships past the float homes to Ladner Harbour.

We were surprised that there were still that many people out to watch the display. On the dock at the end of Elliot street recording artists KickDrive and local vocalists, Brook & Summer performed.

On our way back to Steveston the opportunity was taken to give our new crewmembers a chance to steer and get a feel of the boat during night and windy conditions. Steveston was in the dark due to a power outage but at 10:15 pm the Fraser moored at her berth without any issues after a very successful evening.

The 11th was a slightly less windy evening and many more Carol Ships participated. We welcomed RCM-SAR Unit 8 aboard to enjoy a warm-up coffee and tour.

Society Christmas Dinner and Fundraiser – Dec 2021

This year’s dinner was organized by Brian Cook and held on 09 Dec 2021 at the Royal Vancouver Yacht Club. There were 50+ attendees.

Bob McIlwaine’s son played the bagpipes at the start of the dinner and accompanied John and Mary Horton to the lecture where John received the ‘Duke of Kent’ gold medal for all his years of hard work for the CLI. Mary received a bouquet of flowers as thanks for her support of John and the CLI.

A raffle was held and 4 donated prizes were won by some lucky winners. The dinner was excellent and as always it was good to see and hear crewmates and society members in a different environment.

Remembrance Day – Nov 2021

This Nov 11th the Delta Lifeboat attended Remembrance Day services at the Royal Vancouver Yacht Club and the Fraser Lifeboat conducted a brief ceremony near the Garry Point Memorial in Steveston Harbour followed by a showing of the flag. Many of our members have served with various organizations and militaries worldwide, or have families that have done so. We are fortunate to have such a diversified group. Lest We Forget!

Delta L/B Extended Training weekend – Nov 2021



Video RCMSAR 14 coming long side

Second Video long side

Delta Lifeboat – Extended training weekend

On November 5 the Delta Lifeboat departed at 1915 from her Ladner station to Port Graves in Howe Sound for an extended training weekend. The weather forecast was rain and S.E. winds 10-20 knots. Courses were planned from Ladner to Sand Heads and Collingwood Channel traveling up the Northbound lane. Delta L/B passed Cape Rodger Curtis at 2218 and proceeded up Collingwood Channel through rain squalls to Howe Sound, anchoring in Port Graves at 2330.

6 Nov. The anchor was weighed at 0900 and M.O.B. search and recovery training were conducted south of Gambier Island close to the ferry lanes. A tornado warning was received for the Georgia Strait and Howe Sound; however, the wind remained from the S.E. with rain sometimes heavy and the sea ran from 1 to 2. ‘Oscar’ was deployed, recovered, and hoisted aboard Delta L/B. At 1300 pacing (sticking) training continued in a moderate sea and heavy rain. At 1400 Delta L/B proceeded to the North end of Shoal Channel where a creeping line search pattern was plotted and run. Delta L/B went to anchor in Plumper Cove at 1515 in preparation for joint operations with RCM-SAR station 14 out of Gibsons. The SAR RHIB secured alongside 1610 and a briefing and cross vessel tour was conducted. SAR14 requested a pacing exercise and towex. This was conducted in Shoal Channel with Delta L/B running at 10 knots with SAR14 and Delta RHIB practicing paces and sticks. Delta L/B went to anchor in Plumper Cove for a welcome supper.

7 Nov. The anchor was weighed at 0930 and the ship secured for sea. The forecast was for winds S.E. 15/25 and rain sometimes heavy. Visibility in Howe Sound was 1.5. The passage down Queen Charlotte Channel was made into a steep head sea. Clearing Point Atkinson course was set for the North Arm. Delta L/B entered the North Arm at 1200 communicating with tugs and tows and tugs working booms. Transit was made to New Westminster and to Ladner. Conditions were very changeable with very heavy rain and hail to blinding sunshine that created a spectacular rainbow. Delta L/B secured at her station in Ladner at 1527.

Lucille Johnstone Workboat Parade – Sep 2021

On 25 Sep 2021 both Fraser and Delta Lifeboats attended the Lucille Johnstone Workboat Parade in New Westminster. Both boats headed up early in the morning and anchored at Surrey Fraser Docks area and shared lunch and coffee.

The boats all passed by the New Westminster waterfront as far down as the newly built Westminster Pier Park at the north end. The more agile boats in the parade line took the opportunity to show off and do some spins, close-quarters approaches, and bounding over the wakes of the other vessels. The crowds were small but enthusiastic as people waved to the crews from shore. After a second loop around the lifeboats headed back to their respective stations.

**Next to the article, the page also holds molecular data:**
........
86
Properties=species:S:1:pos:R:3:mulliken_charge:R:1 method="wB97M-V/def2-TZVPD" gap_ev="3.65 / 3.61" spin_multiplicity=2 s2=0.815 charge=-1
Co 0.166 -2.334 0.525 0.383
S -1.917 -3.018 4.341 -0.369
C -0.234 -3.203 4.658 -0.608
C 0.536 -3.013 3.555 -0.399
C -0.202 -2.692 2.372 0.712
C -1.547 -2.663 2.670 -0.355
C -2.514 -2.399 1.657 1.714
C -3.902 -2.471 1.835 -1.248
C -4.737 -2.165 0.786 -0.606
C -4.171 -1.802 -0.432 -1.378
C -2.795 -1.767 -0.539 -0.025
N -1.960 -2.043 0.468 0.344
H 0.083 -3.444 5.662 0.475
H 1.614 -3.082 3.588 0.356
H -4.287 -2.769 2.801 0.443
H -5.813 -2.203 0.904 0.404
H -4.781 -1.554 -1.289 0.543
H -2.350 -1.491 -1.482 0.255
Se 2.526 -1.877 1.166 -0.161
Te 3.618 -4.122 0.873 -0.448
Te 1.556 -5.795 1.486 -0.308
Se -0.155 -4.767 0.004 -0.247
C -1.628 0.957 1.797 -1.771
P -0.250 1.426 0.736 1.330
C -0.614 1.010 -0.955 -0.307
N -1.459 2.080 -1.149 0.447
C -2.126 2.172 -2.327 -0.309
C -2.962 3.258 -2.621 -0.619
C -3.621 3.321 -3.839 -0.570
C -3.469 2.309 -4.779 -0.645
C -2.646 1.225 -4.507 -0.316
C -1.961 1.144 -3.294 0.070
N -1.163 0.057 -3.036 0.109
C -0.497 -0.029 -1.884 -1.171
P 0.377 -1.659 -1.642 1.456
C -0.553 -2.789 -2.752 -1.813
C 1.927 -1.403 -2.706 2.160
C 1.617 -1.071 -4.168 -1.889
C 2.746 -2.696 -2.635 -1.280
C 2.730 -0.245 -2.109 -1.707
C 0.030 3.264 1.105 1.938
C 0.781 3.339 2.439 -1.865
C -1.290 4.025 1.278 -1.764
C 0.868 3.896 -0.010 -1.584
H -1.562 1.461 2.761 0.533
H -1.616 -0.119 1.947 -0.133
H -2.543 1.241 1.281 0.537
H -3.076 4.052 -1.893 0.383
H -4.259 4.170 -4.056 0.384
H -3.990 2.365 -5.727 0.373
H -2.520 0.419 -5.220 0.436
H -0.985 -2.234 -3.579 0.339
H -1.328 -3.311 -2.194 0.508
H 0.147 -3.542 -3.108 0.380
H 1.149 -1.908 -4.687 0.311
H 2.561 -0.846 -4.676 0.532
H 0.963 -0.207 -4.257 0.296
H 2.338 -3.467 -3.289 0.360
H 2.775 -3.093 -1.619 -0.197
H 3.775 -2.500 -2.949 0.491
H 2.155 0.685 -2.169 0.297
H 3.660 -0.107 -2.668 0.632
H 2.983 -0.447 -1.067 0.203
H 0.284 2.758 3.219 0.267
H 0.802 4.381 2.767 0.611
H 1.808 2.988 2.358 0.256
H -1.815 3.710 2.181 0.306
H -1.937 3.887 0.422 0.119
H -1.062 5.090 1.380 0.591
H 1.837 3.406 -0.101 0.226
H 1.040 4.952 0.213 0.511
H 0.342 3.825 -0.962 0.309
C 4.676 0.933 3.795 -1.706
C 3.458 0.755 2.940 1.044
C 3.462 1.021 1.556 -1.581
C 2.333 0.925 0.810 -1.252
N 1.082 0.610 1.395 1.731
C 1.121 0.154 2.730 -0.028
C 2.249 0.240 3.470 -1.301
H 5.501 1.341 3.212 0.411
H 4.996 -0.022 4.222 0.298
H 4.479 1.615 4.628 0.317
H 4.389 1.278 1.058 0.303
H 2.314 1.075 -0.260 0.701
H 0.221 -0.312 3.103 0.465
H 2.221 -0.139 4.485 0.364

---

116
Properties=species:S:1:pos:R:3:mulliken_charge:R:1 method="wB97M-V/def2-TZVPD" gap_ev=9.37 smiles="CC(C)[C@H](C)CONS(=O)(=O)F.O=C1OC[C@@H](F)O1.O=C1OC[C@@H](F)O1.O=C1OC[C@@H](F)O1.O=C1OC[C@@H](F)O1.O=C1OC[C@@H](F)O1.O=C1OC[C@@H](F)O1.O=C1OC[C@@H](F)O1.O=C1OC[C@@H](F)O1.O=C1OC[C@@H](F)O1" charge=0
C 0.274 -0.668 -1.786 -0.782
C 0.513 -0.490 -3.398 0.237
C -0.308 -1.612 -4.322 -1.148
C 0.279 1.040 -3.964 0.179
C 1.162 2.184 -3.130 -0.667
........

A few observations were made and have been passed to the event organizer. Safety patrols were conducted both ways of the voyage.